How To Make Delegation Effective?
┌──
Entry 1:
C10H15N5 | the ωB97M-V functional and the def2-TZVPD basis

```
30
Properties=species:S:1:pos:R:3
H -2.915 -1.137 -3.120
C 0.927 0.168 0.466
H 0.832 1.757 2.983
H -1.032 0.749 0.052
N 1.144 -0.340 -4.810
C 0.603 0.088 -2.672
N -1.057 -0.841 -4.055
H 0.771 0.398 4.212
H -0.525 1.653 4.109
H 3.122 0.397 -4.625
H -2.199 -1.297 2.595
C -0.347 0.152 -1.663
H 1.600 -0.452 -0.115
H 1.517 0.998 0.890
N -0.138 0.639 -0.415
C -0.633 0.248 2.512
N 2.209 0.185 -4.167
H 1.046 -1.156 2.215
C 1.917 0.446 -2.825
H -2.344 -0.082 3.805
C 0.287 -0.657 1.615
H -1.054 -1.290 4.002
C 0.169 -0.409 -3.894
H 2.553 0.939 -2.085
H -0.327 -1.443 1.172
H -1.226 0.943 1.854
C -1.879 -0.808 -3.013
N -1.579 -0.224 -1.835
C 0.182 1.041 3.532
C -1.623 -0.663 3.281
```

Output
E_HOMO in Ha: -0.3027
SMILES string: CC(C)CCNc1ncnc2n[nH]cc12
Kohn-Sham gap in eV: 8.6
Energy above the lowest of the compared OMol25 structures with the same formula, charge and spin in kcal per mole: 0.00
Electronic energy in Eh: -663.80770
Max |F| in eV Å⁻¹: 3.70

Atomic partial charges in e from the natural (NBO) method, atoms 1 to 8:
1 H 0.184
2 C -0.213
3 H 0.206
4 H 0.395
5 N -0.258
6 C -0.276
7 N -0.474
8 H 0.209

Entry 2:
C58H159N9O28 | the ωB97M-V functional and the def2-TZVPD basis

```
254
Properties=species:S:1:pos:R:3
C 0.249 -3.478 1.373
H -1.380 -6.025 -2.217
C -7.677 3.001 -0.609
C 0.626 1.820 3.922
O -2.308 3.311 4.529
C 2.914 -7.168 -1.720
H -5.675 -2.194 1.136
H 2.887 4.497 -5.352
H 4.401 -2.902 0.975
H 6.181 -6.477 -1.639
H -6.084 -3.479 -1.093
C 8.631 -4.557 0.990
H 3.167 -6.401 -2.418
O -3.677 -3.712 -1.308
C 0.954 6.714 -4.931
H -2.821 -5.422 -4.397
H -1.880 -3.457 0.696
H -1.196 2.682 -1.039
H 4.014 1.115 -4.443
N -4.344 -1.536 2.591
H 3.653 3.531 0.069
H -0.941 4.260 2.949
H -2.258 5.798 4.183
C -3.273 5.294 -2.340
C -0.739 -0.985 -0.037
O -5.043 2.457 1.080
C 3.638 0.314 0.509
H -4.251 -0.750 3.252
H -0.514 -4.745 -1.622
O -6.419 -1.815 -2.047
H 7.835 -4.583 -0.976
H 1.500 -6.346 2.336
H -0.185 -5.533 -3.988
H 3.795 -2.462 -0.515
O -7.009 -0.383 3.641
C 1.500 -5.413 1.790
H 1.970 -1.548 3.506
H 1.262 -1.444 5.872
C -7.278 0.911 3.156
O 4.235 1.598 0.106
H -1.580 -3.179 2.377
H -1.379 -1.799 6.221
H 6.517 -2.019 2.237
C -0.325 2.622 -0.433
N 1.912 4.416 -5.519
C -0.414 6.943 -0.038
H 3.328 0.457 1.536
H -2.599 -3.615 -4.291
H 2.299 2.377 0.352
H -4.290 -1.118 -3.156
H 2.304 5.651 -2.929
C 0.097 0.409 3.891
H -2.294 -2.384 3.890
H 0.709 0.897 -2.994
O 0.627 6.869 -6.309
C -3.714 6.147 2.601
H -3.051 2.787 0.684
H 3.956 -1.163 6.050
H 10.399 -5.429 2.646
C -1.213 -2.961 1.420
C -3.715 1.943 0.938
C 1.065 5.173 -4.587
N -6.950 5.266 -0.125
H -2.498 -0.888 7.162
H -4.345 5.181 -2.129
H 1.122 -3.195 5.226
H -6.608 6.002 0.507
C -2.705 4.345 -3.474
O -3.616 -1.024 -1.190
H -2.868 -3.697 4.904
H 4.757 -2.475 3.268
N -1.303 -5.016 -2.315
H 0.205 7.202 -4.307
H -1.700 0.646 -3.349
H -2.799 2.588 -4.157
H -0.657 3.088 0.531
H -1.568 4.433 -3.482
H 5.184 3.784 -2.183
└──
== The records of molecules stop here ==
Posted in Delegation of Authority |
The failure of the process of delegation can be the result of halfhearted approach adopted in this regard by the superiors or the subordinate managers. Therefore, when the delegation is partial, unclear or, it is inconsistent with the expected results, the process of delegation is bound to fail. In this regard, the following steps need to be taken in order to make the process of delegation effective.
[Data records, as found in the file]
- - -
# 1
The following is a DFT calculation (ωB97M-V/def2-TZVPD) of C2HN3O3 in the gas phase.

Calculated values
energy relative to the best compared isomer or geometry (same formula, charge and spin)	601.51	kJ/mol
structure (SMILES)	O=c1nnnc(O)o1
gap between HOMO and LUMO	9.25	eV
total charge	0
LUMO level	-1.032	eV

Each line ends with the Mulliken charge.
Geometry (Å):
O: 2.374 -1.011 0.448  -0.394
C: 1.485 -0.224 0.057  0.528
N: 1.410 1.309 -0.476  -0.087
N: 0.321 1.859 0.029  -0.073
N: -0.958 1.251 0.581  -0.295
C: -0.892 -0.051 0.075  0.692
O: -1.973 -0.711 0.011  -0.381
O: 0.074 -0.894 -0.329  -0.350
H: -1.841 -1.529 -0.396  0.360

# 2
The following is a DFT calculation (ωB97M-V/def2-TZVPD) of C2H3BrFNO2 in the gas phase.

Calculated values
energy relative to the best compared isomer or geometry (same formula, charge and spin)	236.41	kJ/mol
structure (SMILES)	C/C(F)=[N+](\[O-])OBr
gap between HOMO and LUMO	8.66	eV
total charge	0
LUMO level	-0.527	eV

Each line ends with the Mulliken charge.
Geometry (Å):
C: -1.545 -0.055 -0.030  -1.022
C: -0.209 0.480 -0.041  0.516
F: 0.003 1.812 0.094  -0.223
N: 0.883 -0.207 0.037  0.782
O: 1.155 -1.414 -0.043  -0.700
O: 2.172 0.533 0.194  -0.379
Br: 3.668 -0.434 -0.120  0.128
H: -2.022 -0.419 0.953  0.259
H: -2.306 0.658 -0.384  0.333
H: -1.799 -0.954 -0.659  0.306

# 3
The following is a DFT calculation (ωB97M-V/def2-TZVPD) of C19H13F3N2O3S in the gas phase.

Calculated values
structure (SMILES)	Cc1nc(SCC(=O)c2ccc(F)c(F)c2)[nH]c(=O)c1Oc1ccc(F)cc1
gap between HOMO and LUMO	6.61	eV
total charge	0
LUMO level	-1.265	eV

Each line ends with the Mulliken charge.
Geometry (Å):
C: -2.484 -0.724 -2.111  -1.922
C: -1.701 -1.291 -0.994  1.575
N: -0.540 -1.476 -1.249  -0.265
C: 0.050 -2.096 0.037  -0.118
S: 1.817 -2.192 -0.372  -0.184
C: 2.220 -1.347 -1.832  -1.373
C: 2.190 0.382 -1.496  0.843
O: 1.263 1.022 -1.976  -0.594
C: 3.441 0.491 -0.855  0.423
C: 3.446 1.989 -0.398  -0.680
C: 4.576 2.423 0.275  -0.366
C: 5.481 1.722 0.799  0.628
F: 6.535 2.265 1.263  -0.284
C: 5.486 0.370 0.292  0.031
F: 6.357 -0.323 1.013  -0.313
C: 4.461 -0.070 -0.247  -0.444
N: -0.474 -2.387 1.107  0.169
C: -1.732 -2.149 1.297  0.016
O: -2.212 -2.587 2.253  -0.629
C: -2.341 -1.462 0.158  -0.049
O: -3.843 -1.574 0.351  -0.530
C: -4.359 0.024 0.256  0.727
C: -5.866 -0.108 0.315  -1.077
C: -6.389 1.112 0.227  -0.303
C: -5.648 2.416 0.140  0.176
F: -6.236 3.708 0.172  -0.288
C: -4.313 2.237 0.157  -0.706
C: -3.617 1.074 0.355  -0.411
H: -3.596 -0.984 -2.209  0.239
H: -2.134 -0.939 -2.992  0.732
H: -2.409 0.287 -2.017  0.383
H: 3.047 -1.635 -2.065  1.122
H: 1.333 -1.328 -2.723  0.353
H: 2.788 2.778 -0.905  0.301
H: 4.568 3.689 0.546  0.156
H: 4.432 -1.110 -0.388  0.399
H: 0.227 -2.656 1.799  0.267
H: -6.349 -0.972 0.450  0.606
H: -7.470 1.226 -0.081  0.262
H: -3.748 3.113 0.323  0.376
H: -2.595 0.862 0.403  0.749

# 4
The following is a DFT calculation (ωB97M-V/def2-TZVPD) of C5H7N2O2S as an isolated structure.

Calculated values
- - -
1. Defining assignments: It is very important that the work assigned to each person has been defined properly. Similarly, the results that are expected from each person should also be described clearly. These persons should be providing sufficient authority so that they can achieve the desired results.
2. Proper selection of persons: Appropriate persons should be selected to delegate authority keeping in view the job that needs to be done. In this way, the process of delegation will be impacted by the qualifications of the person. While assigning a particular task to a person, it is also required that the required authority should also be provided to such a person. That is necessary for completing the task. In case the person does not have the capacity to exercise such authority, then the purpose could not be achieved. It is important for the HR manager to keep this thing in mind while selecting the appropriate person for different positions.
3. Proper communication: It is very important to have an open line of communication within the organization. When authority is delegated, the superiors do not abdicate their right to interfere and the ultimate responsibility is still lies with the superior. On the other hand, there can be a change in the circumstances due to which new plans may be required and the delegation has to be considered in the new situation. Therefore it is very important to have a free flow of communication between the superiors and their subordinates. The subordinates can provide information which may help the superiors in making decisions and also to interpret them correctly. Hence, communication is very significant for an effective process of delegation.
A.
7 unconnected molecules or ions with the total composition H14O7. Source: the Open Molecules 2025 dataset; level of theory: wB97M-V/def2-TZVPD.

XYZ file:
```
21
Properties=species:S:1:pos:R:3:lowdin_charge:R:1
O -0.39182 0.17048 -0.52289 -0.0767
H 0.39369 0.71252 -0.38813 0.0618
H -0.19432 -0.33462 -1.31967 0.0310
O -2.91099 -2.01546 0.59763 -0.0670
H -2.12176 -1.78389 0.09516 -0.0296
H -2.67215 -1.82293 1.51135 0.0249
O -3.50180 3.78058 -0.31555 -0.0629
H -4.10780 3.03880 -0.42297 0.0316
H -2.88885 3.48565 0.36731 0.0309
O 3.58529 -1.21773 0.23791 -0.0420
H 3.41538 -0.88427 -0.65031 0.0402
H 3.89419 -0.44461 0.72355 0.0092
O -1.23089 -1.93612 -1.45947 -0.0512
H -1.06299 -2.86590 -1.65000 0.0854
H -2.10109 -1.77217 -1.84009 0.0807
O -0.72648 -0.16496 1.96292 -0.0751
H -1.68720 -0.09276 1.93484 0.0211
H -0.50095 -0.61433 1.14061 -0.0066
O 4.70372 1.86616 -0.15585 -0.0446
H 4.44011 1.06873 0.31702 -0.0082
H 5.66673 1.82680 -0.16338 0.0470
```

The calculation puts the HOMO-LUMO gap at 10.97 eV. The total charge is 0.


B.
7 unconnected molecules or ions with the total composition H14O7. Source: the Open Molecules 2025 dataset; level of theory: wB97M-V/def2-TZVPD.

XYZ file:
```
21
Properties=species:S:1:pos:R:3:lowdin_charge:R:1
O 0.00066 -0.32719 0.45947 -0.0743
H 0.42261 0.45678 0.09455 -0.0207
H 0.71735 -0.98305 0.17279 0.0637
O -3.02761 3.06698 -0.73651 -0.0231
H -2.78501 2.22813 -0.97304 -0.0270
H -2.34198 3.72989 -0.98665 0.0597
O -2.30418 -2.23196 -1.72257 -0.0824
H -3.02770 -1.53538 -1.60555 0.0743
H -1.74872 -1.88994 -1.02805 -0.0156
O 3.13516 0.39022 1.32878 -0.0805
H 3.26423 1.20915 1.91358 0.0879
H 3.89465 0.47867 0.73958 0.0272
O 0.34599 2.45403 0.66103 -0.0314
H -0.17108 2.73447 -0.11983 0.0495
H 1.12954 2.12341 0.26980 -0.0059
O 3.07586 -1.53510 -1.92878 -0.0589
H 3.49376 -0.68737 -1.85288 0.0117
H 2.11255 -1.52030 -1.68881 0.0505
O -2.33972 -2.63798 2.06731 -0.0582
H -2.44008 -3.09965 2.90968 0.0359
H -1.40630 -2.42383 2.02613 0.0175
```

The calculation puts the HOMO-LUMO gap at 10.91 eV. The total charge is 0.


C.
7 unconnected molecules or ions with the total composition H14O7. Source: the Open Molecules 2025 dataset; level of theory: wB97M-V/def2-TZVPD.

XYZ file:
```
21
Properties=species:S:1:pos:R:3:lowdin_charge:R:1
O -0.47676 -0.77059 0.04000 -0.2071
H -0.24024 0.15437 -0.00262 0.0394
H 0.35127 -1.30025 0.26530 0.0449
O 4.29881 1.18719 -0.22266 -0.0743
H 3.77265 1.56052 -0.91940 0.0042
H 4.33362 1.96071 0.41341 0.0663
O 1.08899 -2.87067 0.63702 -0.0321
H 1.53436 -3.48589 1.22043 0.0560
H 1.13786 -3.25998 -0.25508 0.0725
O 1.12970 -0.28660 -0.89540 -0.0897
H 1.20645 0.43467 -1.55074 0.0795
H 0.56071 -0.85993 -1.35173 0.0273
O -1.36783 3.07472 0.27374 -0.0661
H -1.97840 2.38885 0.67648 0.0479
H -0.55945 3.01890 0.78452 0.0345
O -3.18664 -0.67644 -1.13272 -0.0823
H -4.12408 -0.80034 -1.44906 0.0610
H -3.00447 0.22818 -1.42568 0.0274
O -1.13358 0.07231 1.76393 -0.0649
H -1.58118 0.84780 1.35432 0.0211
4. Establishing proper controls: The managers are not allowed to relinquish responsibility and as a result, proper controls should be accompanied by delegation. The superiors are required to regularly monitor the performance of the subordinates in order to see that they are functioning in accordance with the plans. On the other hand, if the interference of control has to be avoided, in such a case it is important to take steps so that information can be a danger regarding deviations.
5. Reward for proper implementation:Rewards should be provided to the subordinates for proper delegation and successfully assuming authority. The managers should regularly monitor the performance of different persons. The employees who proved to be successful in delegating the authority properly and who have shown good results with the delegated authority need to be given pecuniary or other rewards by the organization. Such rewards will encourage other employees to improve their performance.